There are days when people feel overwhelmed by all the stuff they have and decide to do something about it. For Jim “Wojo” Wojciechowski, a utility infrastructure and support manager at Idaho National Laboratory’s Materials & Fuels Complex, just recently it meant going through boxes of old photos and memorabilia that had belonged to his late mother-in-law, Elizabeth Hill Ivie.
On his trip down memory lane, he pulled out one particularly curious item: a late-1960s placemat from Idaho Falls’ Westbank Café. Looking at the front, it’s obvious that Westbank owner Ferris Clark was proud to have his café affiliated with the National Reactor Testing Station (which became Idaho National Engineering Laboratory in 1977). “Largest complex of Nuclear Reactors in the world … 43 built since 1949,” it proclaims. Around the edge are all of the reactors’ acronyms, from ASFR to ZPR I.
On the back, however, are the autographs of four NASA astronauts: Joe Engle, Ed Mitchell, Gene Cernan and Alan Shepard. Little more than a month after the first moon landing, Apollo 11, in July 1969, the four had been dispatched to Idaho to visit Craters of the Moon National Monument in preparation for Apollo 14 in 1971.
A yellowed clipping from the Idaho Falls Post-Register attached to the placemat tells the story. While eating at the Westbank (“By the Tumbling Waters”), Ivie realized there were celebrities in the restaurant. Astronauts were a big deal in 1969, and as far as big names went, Shepard was on a par with Neil Armstrong. He was a member of the original Mercury Seven and the first American to go into space, in 1961.
____________
(1)
Cu2Ag | PBEsol | optimized geometry

Results
E above lowest polymorph	0.000	eV per atom
Fermi-level density of states	0.941	states/eV/f.u.
calculated formation energy	0.069	eV per atom
DFT total energy	-11.8	eV per formula unit
crystal system	hexagonal

Lattice parameters (Å, degrees): 4.8319 4.8319 7.8193 90.00 90.00 120.00
Last column: nearest neighbours and their distance in Å.
Space group P6_3/mmc (No. 194)
Inequivalent atoms, fractional coordinates:
Cu 0.0000 0.0000 0.0000  6 Cu 2.41
Cu 0.1690 0.3381 0.2500  6 Cu 2.38-2.45
Ag 0.3333 0.6667 0.5616  12 Cu 2.80-2.83, 4 Ag 2.95



(2)
Te2RuC | PBEsol | optimized geometry

Results
E_form (uncorrected)	574.3	kJ/mol of formula units
Fermi-level density of states	3.252	states/eV/f.u.
DFT total energy	-20.9	eV per formula unit
crystal system	trigonal

Lattice parameters (Å, degrees): 3.2169 3.2169 24.2105 90.00 90.00 120.00
Last column: nearest neighbours and their distance in Å.
Space group R-3m (No. 166, hexagonal axes)
Inequivalent atoms, fractional coordinates:
Te 0.0000 0.0000 0.1029  3 C 2.42, 1 Ru 2.49
Ru 0.0000 0.0000 0.0000  2 Te 2.49
C 0.0000 0.0000 0.5000  6 Te 2.42

=====

(1)
ZnPPb2: relaxed, GGA-PBE.

abc: 5.1629 5.1629 5.1629
angles: 60.00 60.00 60.00
Closest atoms and distances in Å follow each position.
Sites, in units of the cell vectors:
Zn  0.0000  0.0000  0.0000  8 Pb 3.16
P  0.5000  0.5000  0.5000  8 Pb 3.16
Pb  0.2500  0.2500  0.2500  4 P 3.16, 4 Zn 3.16
Pb  0.7500  0.7500  0.7500  4 P 3.16, 4 Zn 3.16

Results
- Energy of formation from the pure elements: 0.30 eV per atom
- ΔE to the lowest computed polymorph: 0.212 eV per atom
- Crystal system: cubic
- Space-group type: Fm-3m (225)

---

(2)
TaRhF3: relaxed, GGA-PBE.

abc: 4.2476 4.2476 4.2476
angles: 90.00 90.00 90.00
Closest atoms and distances in Å follow each position.
Sites, in units of the cell vectors:
Ta  0.0000  0.0000  0.0000  12 F 3.00
Rh  0.5000  0.5000  0.5000  6 F 2.12
F  0.0000  0.5000  0.5000  2 Rh 2.12
F  0.5000  0.0000  0.5000  2 Rh 2.12
F  0.5000  0.5000  0.0000  2 Rh 2.12

Results
- ΔE to the lowest computed polymorph: 0.995 eV per atom
- Crystal system: cubic
- Space-group type: Pm-3m (221)

---

(3)
Ce2Zn2HgPd5: relaxed, GGA-PBE.

abc: 9.8741 9.8741 3.8625
angles: 90.00 90.00 90.00
Closest atoms and distances in Å follow each position.
Sites, in units of the cell vectors:
Ce  0.1799  0.3201  0.0000  3 Zn 2.84-3.00, 6 Pd 3.16-3.17
Ce  0.3201  0.8201  0.0000  3 Zn 2.84-3.00, 6 Pd 3.16-3.17
Ce  0.6799  0.1799  0.0000  3 Zn 2.84-3.00, 6 Pd 3.16-3.17
Ce  0.8201  0.6799  0.0000  3 Zn 2.84-3.00, 6 Pd 3.16-3.17
Zn  0.1169  0.6169  0.0000  6 Pd 2.53-2.62
Zn  0.3831  0.1169  0.0000  6 Pd 2.53-2.62
Zn  0.6169  0.8831  0.0000  6 Pd 2.53-2.62
Zn  0.8831  0.3831  0.0000  6 Pd 2.53-2.62
Hg  0.0000  0.0000  0.0000  8 Pd 2.91
Hg  0.5000  0.5000  0.0000  8 Pd 2.91
Pd  0.0000  0.5000  0.5000  4 Zn 2.53
Pd  0.0686  0.7903  0.5000  2 Zn 2.62, 2 Hg 2.91
Pd  0.2097  0.0686  0.5000  2 Zn 2.62, 2 Hg 2.91
____________
With nothing else available, Ivie grabbed a placemat. The autographs were not just for herself, but for her fourth-grade class at Firth Elementary School (hence the headline on the newspaper story, “Astronauts Sign For Firth Fourth”).
The NASA astronauts, all former test pilots, had little experience with geology, and since they would be collecting rocks on the moon to bring home (limited quantities, of course), the planners at NASA had decided Craters of the Moon would be a good place for them to practice spotting scientifically interesting specimens.
Apollo 14’s geologic lunar target was its Cone Crater in the Fra Mauro highlands. The plan was for the Shepard and Mitchell to take a handcart up the slope to the rim, 300 feet (91 meters) above the landing site, then collect rocks that might have flown up from the moon’s bedrock as a result of a meteor’s impact millions of years earlier.
The trip to the rim was harder than expected. Rocks littering the slope forced them to carry the cart, and the steep climb meant they had to rest often. When their oxygen supply started looking low, they turned back. When the pictures were analyzed later, geologists estimated the two could have reached the rim if they’d gone another 100 feet.
In the end, the mission may be best remembered for Shepard teeing off two golf balls with an improvised 6 iron. Even with his swing limited by the bulky spacesuit, he reported one of the balls going “miles and miles” thanks to the lunar gravity, one-sixth as strong as the Earth’s.
In 1999, Cernan, Engle, and Mitchell (Shepard had died the previous year) returned to Craters of the Moon to help celebrate the national monument’s 75th anniversary. According to the National Park Service article, all three talked about how beneficial their training had been and how it had prepared them well for their missions to the moon. (Cernan was the last astronaut to walk on the moon, with Apollo 17. Engle was supposed to accompany him, but got bumped in favor of Harrison Schmitt, a Ph.D.-level geologist. “When you think about it, the lunar missions were geology-oriented,” he told the New York Times in 1981.)

NASA still uses Craters of the Moon for research. In 2014, scientists from the Ames Research Center began a joint five-year study. The first project, FINESSE (Field Investigations to Enable Solar System Science and Exploration), is to conduct field experiments and procedures that may be used by astronauts if they ever visit Mars. The other, BASALT (Biologic Analog Science Associated with Lava Terrains), aims to examine the habitability of terrains similar to that of Mars.
As for Wojciechowski, he’s looking for anyone who might be interested in taking his little piece of history off his hands. “If I were to keep it, it would just go back in a box,” he said.